Happy New Year! Thanks to everyone who came to the last skating party we made a donation of over 200 items to the Mountain Top Food Bank! We still have 3 skating parties planned for the remaining of the school year. February 23rd, March 5th and May 24th (our free party!) We will look forward to seeing you there.


The Green Committee (under the leadership of Ellen Chin) have placed containers in the lobby to collect Can Tabs. Please take this opportunity to help our planet and recycle! Annette Weiss

Green Committee Chair


The Book Fair Luau is coming. This year's Book Fair is scheduled for February 27th - March 2nd, with our Family Night event planned for Wednesday, February 29th.More information as to when your child's class will attend will be in the February Newsletter but classes generally attend during their scheduled library time. If you are interested in volunteering please contact us. Thank you in advance for helping to make this the biggest and best Book Fair yet! Mary-Ellen McFarland (868-6467, )Wendy Fenwick ()Annette Mann ()


The sixth grade committee would like to thank all those who participated in the Joe Corbi pizza and cookie dough fundraiser, and a special thanks to Lisa Klusewitz for coordinating. The fundraiser earned a thousand dollars, and some of the proceeds went to supply pizza for the sixth grade winter class parties. Thank you to Uni-Mart for sellling us the pizza at a discounted rate. In January, the second dance will be coming up and students can look for more information to be sent home. We will also be sending out the chaperone list for the winter dance by e-mail. The next meeting will be foll

owing the general pta meeting, at seven in the library on the first Tuesday of the month. Thanks and hope to see you there.


Sport Stacking Club Sport Stacking is an activity that involves using 12 cups to build different pyramids in a sequential order. Kids love to cup stack because it is fast paced and fun and parents love it because it helps with hand-eye coordination, quickness and ambidexterity. This after school activity will take place Mondays, February 6, 13, 27 and March 5 from 3:30 to 4:30pm for children in grades 1 to 6. All children who would like to participate should complete and return a permission slip to their teacher by January 31st. Children should also bring in a note EACH DAY of the club stating that they have permission to stay after school for the Sport Stacking Club. Children can be picked up after the club at 4:30pm. If you would like more information or have any questions about the club, please feel free to contact the club director, Debbie Knorr at 474-0900, 403-6143 or email .

== These data records were left in the page by mistake ==
Diffraction record for HoMg8Ni4. The X-ray diffraction stick pattern is theoretical, not measured: it uses the PBE geometry in Alexandria and Cu Kα (λ = 1.5418 Å).
No peak broadening, texture or thermal motion is included.

Largest 10 diffraction maxima, by intensity, 2θ = 10–80°:
- 39.02 deg, d = 2.309 Å, I = 1000
- 38.72 deg, d = 2.326 Å, I = 742
- 27.23 deg, d = 3.275 Å, I = 409
- 13.58 deg, d = 6.523 Å, I = 371
- 27.35 deg, d = 3.261 Å, I = 354
- 19.08 deg, d = 4.652 Å, I = 336
- 33.56 deg, d = 2.670 Å, I = 312
- 56.17 deg, d = 1.638 Å, I = 305
- 30.65 deg, d = 2.917 Å, I = 194
- 63.79 deg, d = 1.459 Å, I = 179

Lattice parameters (Å, degrees): 7.057 7.057 7.057 98.38 98.38 135.13
Fractional coordinates of all 13 atoms:
Ho 0.000 0.000 0.000
Mg 0.000 0.336 0.336
Mg 0.000 0.664 0.664
Mg 0.280 0.500 0.780
Mg 0.336 0.000 0.336
Mg 0.500 0.280 0.780
Mg 0.500 0.720 0.220
Mg 0.664 0.000 0.664
Mg 0.720 0.500 0.220
Ni 0.000 0.000 0.500
Ni 0.000 0.500 0.000
Ni 0.500 0.000 0.000
Ni 0.500 0.500 0.500

=====

Diffraction record for Ho2Mg3Ni2. The X-ray diffraction stick pattern is theoretical, not measured: it uses the PBE geometry in Alexandria and Cu Kα (λ = 1.5418 Å).
No peak broadening, texture or thermal motion is included.

Largest 10 diffraction maxima, by intensity, 2θ = 10–80°:
- 11.93 deg, d = 7.417 Å, I = 1000
- 36.36 deg, d = 2.471 Å, I = 489
- 28.03 deg, d = 3.184 Å, I = 463
- 33.94 deg, d = 2.641 Å, I = 397
- 35.53 deg, d = 2.527 Å, I = 390
- 35.41 deg, d = 2.535 Å, I = 231
- 41.23 deg, d = 2.189 Å, I = 183
- 45.15 deg, d = 2.008 Å, I = 158
- 47.18 deg, d = 1.926 Å, I = 158
- 70.51 deg, d = 1.336 Å, I = 143

Lattice parameters (Å, degrees): 5.441 5.441 7.474 96.60 96.60 41.47
Fractional coordinates of all 7 atoms:
Ho 0.124 0.124 0.367
Ho 0.876 0.876 0.633
Mg 0.186 0.186 0.853
Mg 0.500 0.500 0.000
Mg 0.814 0.814 0.147
Ni 0.418 0.418 0.363
Ni 0.582 0.582 0.637

=====

Record 1
The following is a computed powder XRD pattern of RbMg4Tl2. It was derived from a PBE-relaxed structure, using λ = 1.5418 Å (Cu Kα).
Peak positions follow from Bragg's law for the DFT cell and can differ from measured ones.

Cell and atoms:
Cell lengths 4.757, 18.192, 4.879 Å; angles 90.00, 90.00, 90.00 degrees
Space group Cmmm (No. 65)
Symmetry-distinct sites (fractional):
Rb  0.000  0.000  0.000 [2 per cell]
Mg  0.000  0.195  0.500 [4 per cell]
Mg  0.000  0.310  0.000 [4 per cell]
Tl  0.000  0.408  0.500 [4 per cell]

Peak list (10 most intense, 2θ from 5° to 70°, in order of rising 2θ)
2θ = 9.72°, I = 45, hkl 0 2 0; 2θ = 18.18°, I = 40, hkl 0 0 1; 2θ = 19.28°, I = 45, hkl 1 1 0; 2θ = 26.63°, I = 100, hkl 1 1 1; 2θ = 26.80°, I = 40, hkl 0 4 1; 2θ = 30.94°, I = 52, hkl 1 5 0; 2θ = 34.84°, I = 38, hkl 0 6 1; 2θ = 36.12°, I = 49, hkl 1 5 1; 2θ = 36.85°, I = 25, hkl 0 0 2; 2θ = 48.86°, I = 30, hkl 1 5 2

Record 2
The following is a computed powder XRD pattern of RbMg3Tl9. It was derived from a PBE-relaxed structure, using λ = 1.5418 Å (Cu Kα).


Happy New Year!! I hope that all Rice families had a great holiday break! Time sure flies…. Rice Elementary students have been so busy and so has the PTA! December brought us the eagerly anticipated Holiday Shoppe, where the children have the ability to shop for surprises for their family and friends. The classroom Geography and Spelling Bees were held before winter break. Congratulations to the classroom winners; we look forward to the final spelling Bee and Geography Bee awards presentation in early January! December ended with the students enjoying their Winter Party, with a surprise visit from Santa. Thank you to all of the Liaisons and classroom volunteers- you make the parties special for the children! A New Year's Resolution for our PTA is responsible spending! Any request to the PTA that is in excess of $500 (or is less but is of concern to at least one board member) will be tabled, researched and reviewed prior to the next month's meeting, where it will be voted on by an informed membership. We will have a regular PTA meeting in January, as so much continues to happen at Rice Elementary. January 3 will be the first PTA meeting of 2012. Please join us at 6 PM in the library. We need to establish a nominating committee for next year and will be looking for volunteers. The nominating committee will look for board member nominees and confirm interest in chairpersons for the next academic year. If you ever wanted to get your feet wet as a PTA leader, this is your opportunity for a low commitment (and vitally important) role! We have had great attendance at our meetings this year, and look forward to continuing this trend! We are always looking for your input and creative new ideas! As always, babysitting will be provided and great activities have been planned! Brave the cold and come join us as we look ahead to planning springtime fun! And as always, a huge thank you to Mr. Seyer our principal, Mrs. Cormier our school secretary, Mrs. Jones our head teacher and all of the teachers and support staff, including Debbie and the custodial team for keeping our children safe every day and keeping them engaged in learning at Rice! Wishing you much happiness in the New Year! Annette Weiss

Rice PTA President 868-0245